
The Koch Brothers: American Oligarchs The Koch Brothers: American Oligarchs

The Koch brothers sent out packets advising their employees for whom to vote, giving a sample of the damage that the Citizens United Supreme Court decision is already unleashing ...

Apr 25, 2011 / Press Room

Three Poems by Jeffrey Yang Three Poems by Jeffrey Yang

"Abalone," "Eel," "Greed's Prisoner"

Apr 25, 2011 / Books & the Arts / Jeffrey Yang

The Koch Brothers: American Oligarchs The Koch Brothers: American Oligarchs

The Koch brothers sent out packets advising their employees for whom to vote, giving a sample of the damage that the Citizens United Supreme Court decision is already unleashing on...

Apr 25, 2011 / MSNBC

Preventing the Nuclear Apocalypse Preventing the Nuclear Apocalypse

The US's nuclear arsenal has no necessary military mission anymore. But their existence continues to provoke the proliferation of weapons programs abroad.

Apr 25, 2011 / Joe Cirincione

An Empire of Autocrats, Aristocrats and Uniformed Thugs Begins to Totter An Empire of Autocrats, Aristocrats and Uniformed Thugs Begins to Totter

Across the Greater Middle East from Tunisia and Egypt to Bahrain and Yemen, democratic protests are threatening to sweep away subordinate elites crucial to the wielding of American...

Apr 25, 2011 / Alfred W. McCoy and Brett Reilly

With Economy as a Hostage, the GOP Presents Extreme Demands With Economy as a Hostage, the GOP Presents Extreme Demands

Another week, another standoff over government spending. But hostage-taking Republicans aren‘t in as strong a position as they think they are.

Apr 25, 2011 / George Zornick

‘Post’ Editor Calls Afghan Exit a ‘Mirage’ ‘Post’ Editor Calls Afghan Exit a ‘Mirage’

Jackson Diehl, the reliable hawk, opposes diplomatic effort to end the war.

Apr 25, 2011 / Bob Dreyfuss

Students Suspended For Protesting Budget, Unions Plan Massive Rally Opposing Bloomberg’s Cuts

Students Suspended For Protesting Budget, Unions Plan Massive Rally Opposing Bloomberg’s Cuts Students Suspended For Protesting Budget, Unions Plan Massive Rally Opposing Bloomberg’s Cuts

In a violation of their First Amendment rights, students have been suspended for protesting their district’s budget cuts. New York unions plan a massive rally to oppose the f...

The text is interrupted by molecular data =
-- begin --
# 1
Entry from the OMol25 dataset: a molecular structure, C32H55BN7O4Y at a distorted geometry (ωB97M-V/def2-TZVPD).

Positions of all 100 atoms, in Å:
Y: -1.41489 0.71042 -0.70176
C: -3.33392 1.62259 2.90487
C: -3.26232 0.11779 3.14681
C: -4.55574 -0.58494 2.71412
C: -2.03576 -0.55770 2.57905
C: -1.53216 -1.78938 3.02750
C: -0.32978 -1.97028 2.38901
C: 0.56191 -3.16791 2.58113
C: 1.02161 -3.78297 1.25589
C: 1.70395 -2.90436 3.57150
N: -0.12931 -0.90208 1.56589
N: -1.20962 -0.04692 1.67724
B: 1.23641 -0.32725 0.98649
N: 1.18402 1.23529 1.06457
N: 0.15838 1.93654 0.47442
C: 0.28433 3.20852 0.83752
C: 1.40122 3.34774 1.66485
C: 1.95262 2.09186 1.78271
C: 3.25451 1.81498 2.48440
C: 3.22860 0.75355 3.59394
C: 4.37264 1.58985 1.45528
C: -0.62204 4.33041 0.40945
C: -2.07722 3.90165 0.20644
C: -0.03581 5.08265 -0.79617
N: 1.47690 -0.78471 -0.49518
N: 0.52234 -0.42037 -1.40896
C: 0.95313 -0.80667 -2.60767
C: 2.20453 -1.39880 -2.48420
C: 2.51951 -1.38345 -1.13483
C: 3.83866 -1.99949 -0.65456
C: 3.94859 -3.43554 -1.19712
C: 4.22836 -2.02318 0.82079
C: 0.16461 -0.62898 -3.87632
C: 0.81066 0.44124 -4.76448
C: 0.03523 -1.95674 -4.62823
H: -4.14065 2.05769 3.50072
H: -3.54419 1.82580 1.85771
H: -2.39532 2.11131 3.18353
H: -3.16090 -0.03483 4.22387
H: -4.76046 -0.38976 1.66099
H: -5.40189 -0.20728 3.29387
H: -4.49489 -1.66678 2.86629
H: -1.97542 -2.45389 3.76050
H: -0.08849 -3.90008 3.05977
H: 1.51915 -3.04917 0.62384
H: 0.16474 -4.17002 0.69617
H: 1.71337 -4.61357 1.43268
H: 2.41339 -2.17188 3.19201
H: 2.24631 -3.83291 3.77950
H: 1.30529 -2.52192 4.51489
H: 2.13576 -0.72568 1.64960
H: 1.77056 4.25868 2.11672
H: 3.47007 2.76096 2.97797
H: 3.36778 -0.25321 3.20524
H: 2.28373 0.77509 4.14568
H: 4.03979 0.94595 4.30084
H: 4.08838 0.82249 0.73156
H: 5.30080 1.28160 1.94617
H: 4.56732 2.50663 0.89379
H: -0.61496 5.03005 1.24537
H: -2.18142 3.03968 -0.44198
H: -2.65369 4.70178 -0.25635
H: -2.54782 3.63878 1.15100
H: -0.00274 4.44009 -1.67429
H: 0.97939 5.42663 -0.57802
H: -0.65080 5.96018 -1.02115
H: 2.81297 -1.80318 -3.28037
H: 4.60215 -1.41272 -1.16949
H: 3.18141 -4.07263 -0.74930
H: 4.92701 -3.85121 -0.94175
H: 3.83333 -3.48112 -2.28042
H: 3.57516 -2.67664 1.39529
H: 4.23362 -1.04125 1.28224
H: 5.24174 -2.42803 0.89469
H: -0.83858 -0.30497 -3.60855
H: 1.83500 0.15283 -5.01851
H: 0.84334 1.40329 -4.25208
H: 0.25017 0.55705 -5.69743
H: 1.01934 -2.35760 -4.89021
H: -0.52859 -1.81375 -5.55596
H: -0.48501 -2.71431 -4.02996
N: -2.15802 -1.71596 -1.32063
C: -3.45871 -1.69951 -2.05123
C: -4.61107 -1.20598 -1.18468
C: -4.55303 0.24301 -0.72342
O: -5.54366 0.94161 -0.78693
O: -3.40844 0.61284 -0.19474
H: -1.46163 -2.17795 -1.88839
H: -2.26395 -2.28800 -0.49150
H: -3.70456 -2.69408 -2.41992
H: -3.34649 -1.04597 -2.90922
H: -4.67555 -1.82102 -0.27557
H: -5.54328 -1.32826 -1.72750
C: -1.97624 2.79448 -4.35990
C: -1.70071 2.02432 -3.10118
O: -2.47172 1.06879 -2.77085
O: -0.71403 2.31551 -2.36824
H: -2.94952 3.28092 -4.26828
H: -2.03745 2.09643 -5.19723
-- stop --

Apr 25, 2011 / Allison Kilkenny

The Issue Is Jobs, Not Deficit Reduction The Issue Is Jobs, Not Deficit Reduction

A Democratic congressman tells the president to stop reading from GOP talking points and start borrowing a page from FDR.

Apr 25, 2011 / John Nichols

Egyptian Youth Activists Extend Support For Youth Across the Arab World Egyptian Youth Activists Extend Support For Youth Across the Arab World

Egyptian youth organizers are working to support other youth movements still struggling for reform with solidarity protests on behalf of their counterparts in Bahrain, Libya, Syria...

Apr 24, 2011 / StudentNation / Anna Day
